Academic Catalog

Cybersecurity (CYB)

=====
Model 1:
# MoSeI2

Crystalline MoSeI2 at its relaxed geometry (GGA-PBE, Alexandria).

a b c (Å): 5.1856 5.1856 5.1856
angles (deg): 60.00 60.00 60.00
Last column: nearest neighbours and their distance in Å.
Fractional coordinates of all 4 atoms:
I  0.2500  0.2500  0.2500  4 Mo 3.18, 4 Se 3.18
I  0.7500  0.7500  0.7500  4 Mo 3.18, 4 Se 3.18
Mo  0.5000  0.5000  0.5000  8 I 3.18
Se  0.0000  0.0000  0.0000  8 I 3.18

Total moment (μB per atom): 0.50


Model 2:
# MoSeI2

Crystalline MoSeI2 at its relaxed geometry (GGA-PBE, Alexandria).

a b c (Å): 10.2630 10.2630 7.6467
angles (deg): 47.85 47.85 90.00
Last column: nearest neighbours and their distance in Å.
Fractional coordinates of all 8 atoms:
I  0.7723  0.1250  0.2500  2 Mo 2.84
I  0.9777  0.6250  0.2500  2 Mo 2.84
I  0.3750  0.2277  0.7500  2 Mo 2.84
I  0.8750  0.0223  0.7500  2 Mo 2.84
Mo  0.0000  0.0000  0.0000  2 Se 2.41
Mo  0.7500  0.2500  0.5000  2 Se 2.41
Se  0.5000  0.5000  0.0000  2 Mo 2.41
Se  0.2500  0.7500  0.5000  2 Mo 2.41

Total moment (μB per atom): 0.00


Energies, relative to the best one, in meV/atom: model 1 839; model 2 0.


Model 1:
# Mo3SeI

Crystalline Mo3SeI at its relaxed geometry (GGA-PBE, Alexandria).

a b c (Å): 4.9030 4.9030 4.9030
angles (deg): 90.00 90.00 90.00
Last column: nearest neighbours and their distance in Å.
Fractional coordinates of all 5 atoms:
I  0.0000  0.0000  0.0000  6 Mo 2.45
Mo  0.0000  0.5000  0.0000  2 I 2.45
Mo  0.0000  0.0000  0.5000  2 I 2.45
Mo  0.5000  0.0000  0.0000  2 I 2.45
Se  0.5000  0.5000  0.5000  12 Mo 3.47

Total moment (μB per atom): 0.00


Model 2:
# Mo3SeI

Crystalline Mo3SeI at its relaxed geometry (GGA-PBE, Alexandria).

a b c (Å): 4.7114 4.7114 4.7114
angles (deg): 90.00 90.00 90.00
Last column: nearest neighbours and their distance in Å.
Fractional coordinates of all 5 atoms:
I  0.5000  0.5000  0.5000  12 Mo 3.33
Mo  0.0000  0.5000  0.0000  2 Se 2.36
Mo  0.0000  0.0000  0.5000  2 Se 2.36
Mo  0.5000  0.0000  0.0000  2 Se 2.36
Se  0.0000  0.0000  0.0000  6 Mo 2.36

Total moment (μB per atom): 0.00


Energies, relative to the best one, in meV/atom: model 1 816; model 2 0.


Model 1:
# Te2MoSeI

Crystalline Te2MoSeI at its relaxed geometry (GGA-PBE, Alexandria).

a b c (Å): 5.5074 5.5074 5.5488
angles (deg): 90.00 90.00 90.00
Last column: nearest neighbours and their distance in Å.
Fractional coordinates of all 5 atoms:
I  0.0000  0.0000  0.5000  2 Se 2.77
Mo  0.5000  0.5000  0.5000  4 I 3.89, 8 Te 3.91
Te  0.0000  0.5000  0.0000  2 Se 2.75
Te  0.5000  0.0000  0.0000  2 Se 2.75
Se  0.0000  0.0000  0.0000  4 Te 2.75, 2 I 2.77

Total moment (μB per atom): 0.83


Model 2:
# Te2MoSeI

Crystalline Te2MoSeI at its relaxed geometry (GGA-PBE, Alexandria).

a b c (Å): 5.2657 5.2657 5.3721
angles (deg): 90.00 90.00 90.00
Last column: nearest neighbours and their distance in Å.
Fractional coordinates of all 5 atoms:
I  0.0000  0.0000  0.5000  2 Mo 2.69
Mo  0.0000  0.0000  0.0000  4 Te 2.63, 2 I 2.69
Te  0.0000  0.5000  0.0000  2 Mo 2.63
=====
CYB 700  Cybersecurity Fundamentals  3.00  
Introduces fundamental concepts and design principles in cybersecurity. Students will understand what, why, and how to protect in the cyberworld. Topics include CIA (Confidentiality, Integrity, and Availability), threats, attacks, defense, least privilege, access control and password management, security policies, critical controls, incident-handling and contingency planning, risk assessment and management.
Typically Offered:
  • Fall, Spring, and Summer Terms
CYB 703  Network Security  3.00  
xamines network architectures, threats and attack surfaces exploited by these threats. Students will look at network traffic inspection, common attacks and defensive techniques like encryption, network segmentation, firewalls, application proxies, honeypots, DMZs, monitoring networks using: intrusion detection and intrusion prevention systems, and network access control.
CYB 705  Cybersecurity and Society  3.00  
Presents the principles of applied sociology that account for the human factors in security systems. Topics include an examination of the human role in cybersecurity, the role of security in the context of an organization, and a special focus on the development and implementation of cybersecurity policies.
Typically Offered:
  • Fall, Spring, and Summer Terms
CYB 707  Cybersecurity Planning  3.00  
Instruction on the process used to develop and maintain appropriate security levels for an organization with a focus on implementing a comprehensive security program, a documented set of security policies, procedures, guidelines, and standards. Topics include security planning, strategies, controls, and metrics for measuring the effectiveness.
Typically Offered:
  • Fall, Spring, and Summer Terms
CYB 710  Introductory Cryptography  3.00  
Fundamentals of applied cryptography, including encryption and decryption, symmetric and asymmetric systems, pseudorandom functions, block ciphers, hash functions, common attacks, digital signatures, key exchange, message authentication and public key cryptography. Implemen-tation of cryptographic systems in an approved programming language. Survey of relevant math-ematical concepts, including elementary number theory.
Typically Offered:
  • Fall, Spring, and Summer Terms
CYB 715  Managing Security Risk  3.00  
Covers risk management processes and tools, risk assessment and analysis models, economic and control implications, risk measurement, and the ethics of risk. Students will communicate the technical and management-aspects of risk, based on research of their chosen industry, related regulation, recent industry reports, and risk implications to organizations, individuals and the nation.
Typically Offered:
  • Fall, Spring, and Summer Terms
CYB 720  Communication in Cybersecurity  3.00  
Research, organize, and present technical information to audiences with varying goals and technical needs. Emphasis on ethics, critical thinking, listening skills, and feedback to develop effective messages utilizing verbal and nonverbal communication strategies and visual aids. Individual and group presentations and projects will emulate professional scenarios in cybersecurity.
Typically Offered:
  • Fall, Spring, and Summer Terms
CYB 725  Computer Forensics  3.00  
This course provides instruction on the investigative and forensics processes of digital evidence with a focus on identifying indicators of compromise, the use of common forensics tools, and the preservation of forensics tools. Topics include forensics iconology, and the analysis of disk, memory, chip-off, mobile device, and OS artifacts.
Typically Offered:
  • Fall, Spring, and Summer Terms
CYB 730  Computer Criminology  3.00  
A primer on modern criminology with specific attention to the aspects of technology that facilitate criminal behaviors. Topics include computer crime laws, criminological theories of computer crime, court room and evidentiary procedure, idiographic and nomothetic digital profiling, computer crime victimology, habit/authorship attribution, stylometry, and case linkage analysis.
Typically Offered:
  • Fall, Spring, and Summer Terms
CYB 735  Network Forensics  3.00  
Covers protocol analysis, identification of malicious behavior in systems, and forensic investigations through event log aggregation, correlation and analysis. Students will analyze clips of network protocol analysis to discern methods of attacks and malicious activities. Reviews wired and wireless protocols and cover their associated attacks, with case studies involving protocol analysis, log analysis, and other tools.
Typically Offered:
  • Fall, Spring, and Summer Terms
CYB 740  Incident Response and Remediation  3.00  
Addresses how to set up an incident response system in an organization and the phases of an IR: Preparation, Identification, Notification, Containment, and Eradication of the threat actors, and Recovery and Reporting to prevent future incidents. Students will learn about the use of IDS and forensics, dealing with false alarms and the remediation process to minimize business impact, plan business continuity, and work with law enforcement, auditors, insurance, and compliance.
Typically Offered:
  • Fall, Spring, and Summer Terms
CYB 745  Secure Operating Systems  3.00  
Covers operating systems security infrastructure. Topics include, for a given operating system (Windows/Linux), updates and patches, access controls and account management, configuration management, hardening and securing services, and the use of scripting languages to automate security management. Additional topics may include auditing and forensics, virtualization and cloud computing.
Typically Offered:
  • Fall, Spring, and Summer Terms
CYB 750  Offensive Security  3.00  
This course includes active defenses such as penetration testing, log management, hacking, threat management and system posturing. Students completing this course will have an understanding of, and the ability to preemptively secure computer and network resources by utilizing information about threats, actors and attack vectors and the ethics behind using this data.
Typically Offered:
  • Fall, Spring, and Summer Terms
# Someone pasted records of crystals at this point
____________
Record 1
Computed, not measured: an optimized crystal structure of LaBe2Br at the PBE level of DFT.

Results
final energy	-13.73	eV per cell
symmetry	P4mm, No. 99
energy relative to the lowest polymorph listed for this composition	235	meV per atom
E_form (uncorrected)	80	meV/atom

Cell: 3.387 3.387 7.048 Å, 90.00 90.00 90.00°
Sites, in units of the cell vectors:
La1 0.000 0.000 0.000
Be1 0.000 0.000 0.384
Be2 0.500 0.500 0.287
Br1 0.500 0.500 0.694

Record 2
Computed, not measured: an optimized crystal structure of LaBeBr at the PBE level of DFT.

Results
final energy	-10.72	eV per cell
symmetry	P-6m2, No. 187
energy relative to the lowest polymorph listed for this composition	31	meV per atom
E_form (uncorrected)	-131	meV/atom

Cell: 4.742 4.742 3.555 Å, 90.00 90.00 120.00°
Sites, in units of the cell vectors:
La1 0.000 0.000 0.000
Be1 0.333 0.667 0.500
Br1 0.667 0.333 0.500

Record 3
Computed, not measured: an optimized crystal structure of LaBe4Br at the PBE level of DFT.

Results
final energy	-18.50	eV per cell
symmetry	F-43m, No. 216
E_form (uncorrected)	501	meV/atom

Cell: 5.369 5.369 5.369 Å, 60.00 60.00 60.00°
Sites, in units of the cell vectors:
La1 0.000 0.000 0.000
Be1 0.049 0.650 0.650
Be2 0.650 0.049 0.650
Be3 0.650 0.650 0.049
Be4 0.650 0.650 0.650
Br1 0.250 0.250 0.250
____________
CYB 755  Security Administration  3.00  
Covers the policy and governance aspects of security. Topics include application of security policies, standards, procedures and guidelines to administration of IT and communications, assessment of compliance including contractual, legal, industry standard, privacy and regulatory requirements, and implementation of security audits and assessment of security performance and security policy efficacy.
Typically Offered:
  • Fall, Spring, and Summer Terms
CYB 760  Leadership & Teams  3.00  
Focuses on leadership best practices and the interpersonal processes and structural characteristics that influence the effectiveness of teams. Emphasis will be placed on leadership models, principles of team building, group dynamics, problem solving, and crisis management in cybersecurity issues. Course will include case studies of modern security incidents.
Typically Offered:
  • Fall, Spring, and Summer Terms
CYB 765  Cybersecurity Management  3.00  
Covers management of cybersecurity policies and strategies at the organizational, national, and transnational levels. Examines the implications of key domestic and international regulations and changes in information technology and communications on security operations. Includes development of organizational security preparation, processes, and responses, and developing a disaster recovery program.
Typically Offered:
  • Fall, Spring, and Summer Terms
CYB 770  Security Architecture  3.00  
Focuses on security architectures for the protection of information systems and data. Students completing this course can identify potential vulnerabilities in system architectures and design secure architectures. Topics include common enterprise and security architectures and their key design elements, such as secure cloud computing and virtualization infrastructures.
Typically Offered:
  • Fall, Spring, and Summer Terms
CYB 775  Applied Cryptography  3.00  
An in-depth study of modern cryptography. Topics include public key and private key cryptography, types of attacks, cryptanalysis, perfect secrecy, hashing, digital signatures, virtual private networks, and quantum key cryptography. Topics from number theory and discrete probability necessary for understanding current cryptosystems and their security will be covered.
Typically Offered:
  • Fall, Spring, and Summer Terms
CYB 780  Software Security  3.00  
Covers the foundations of engineering secure applications, including techniques used to engineer secure software and assess the security of applications. Topics include exploiting web vulnerabilities, secure development processes, implementing security features such as secure data storage and transmission, threat modeling, security requirements, code analysis, and penetration testing.
Typically Offered:
  • Fall, Spring, and Summer Terms
CYB 785  Cyber-Physical Sys. Security  3.00  
Covers the fundamentals and techniques to design and implement cyber-physical systems. Topics include the architecture of cyber-physical systems, exploiting software vulnerabilities, secure coding, microservices security, cloud services security, reverse engineering, security assessment of cyber-physical systems, and data analytics for security.
Typically Offered:
  • Fall, Spring, and Summer Terms
-- Someone pasted calculated crystals at this point --
********
(1)
La3Tb5Er4 | PBE | relaxed

CIF file:
```
data_La3Tb5Er4
_chemical_formula_sum 'La3 Tb5 Er4'
_cell_length_a 6.2263
_cell_length_b 7.1673
_cell_length_c 8.8047
_cell_angle_alpha 89.93
_cell_angle_beta 89.80
_cell_angle_gamma 89.89
_symmetry_space_group_name_H-M 'P -1'
_symmetry_Int_Tables_number 2
loop_
_symmetry_equiv_pos_as_xyz
'x,y,z'
'-x,-y,-z'
loop_
_atom_site_label
_atom_site_type_symbol
_atom_site_fract_x
_atom_site_fract_y
_atom_site_fract_z
_atom_site_occupancy
La1 La 0.0000 0.0000 0.0000 1
La2 La 0.1652 0.2517 0.3339 1
Tb1 Tb 0.0000 0.5000 0.0000 1
Tb2 Tb 0.3357 0.9998 0.6668 1
Tb3 Tb 0.4979 0.7476 0.9997 1
Er1 Er 0.1707 0.7486 0.3331 1
Er2 Er 0.3340 0.4990 0.6673 1
```

## Properties
As for the polymorph energy (0 for the lowest one): 0.0 meV/atom. As for the formation energy: 26.2 meV/atom. For the total energy, the calculation gives -4.66 eV/atom. Its density of states at the Fermi level is 17.3 states/eV/cell.


(2)
KIn2Te4Pb | PBE | relaxed

CIF file:
```
data_KIn2Te4Pb
_chemical_formula_sum 'K2 In4 Te8 Pb2'
_cell_length_a 7.7700
_cell_length_b 8.4026
_cell_length_c 9.0096
_cell_angle_alpha 90.00
_cell_angle_beta 90.00
_cell_angle_gamma 90.00
_symmetry_space_group_name_H-M 'I 2 2 2'
_symmetry_Int_Tables_number 23
loop_
_symmetry_equiv_pos_as_xyz
'x,y,z'
'-x,-y,z'
'x,-y,-z'
'-x,y,-z'
'x+1/2,y+1/2,z+1/2'
'-x+1/2,-y+1/2,z+1/2'
'x+1/2,-y+1/2,-z+1/2'
'-x+1/2,y+1/2,-z+1/2'
loop_
_atom_site_label
_atom_site_type_symbol
_atom_site_fract_x
_atom_site_fract_y
_atom_site_fract_z
_atom_site_occupancy
K1 K 0.0000 0.0000 0.0000 1
In1 In 0.0000 0.5000 0.3312 1
Te1 Te 0.2352 0.1980 0.6898 1
Pb1 Pb 0.0000 0.0000 0.5000 1
```

## Properties
For the total energy, the calculation gives -3.20 eV/atom. Its density of states at the Fermi level is 8.3 states/eV/cell.


(3)
KSrH3 | PBE | relaxed

CIF file:
```
data_KSrH3
_chemical_formula_sum 'K4 Sr4 H12'
_cell_length_a 7.8918
_cell_length_b 6.3217
_cell_length_c 7.6770
_cell_angle_alpha 90.00
_cell_angle_beta 104.24
_cell_angle_gamma 90.00
_symmetry_space_group_name_H-M 'P 1 21/c 1'
_symmetry_Int_Tables_number 14
loop_
_symmetry_equiv_pos_as_xyz
'x,y,z'
'-x,-y,-z'
'-x,y+1/2,-z+1/2'
'x,-y+1/2,z+1/2'
loop_
_atom_site_label
_atom_site_type_symbol
_atom_site_fract_x
_atom_site_fract_y
_atom_site_fract_z
_atom_site_occupancy
K1 K 0.1370 0.2396 0.1605 1
Sr1 Sr 0.3832 0.7310 0.4709 1
H1 H 0.1489 0.7442 0.1604 1
H2 H 0.3156 0.1373 0.9525 1
H3 H 0.4962 0.0004 0.2838 1
```

## Properties
As for the polymorph energy (0 for the lowest one): 0.0 meV/atom. For the total energy, the calculation gives -2.92 eV/atom. Its density of states at the Fermi level is 0.0 states/eV/cell.


(4)
Pr2NiSn6 | PBE | relaxed

CIF file:
```
data_Pr2NiSn6
********
CYB 789  Cybersecurity Pre-capstone  1.00  
Prepares student for capstone experience. Draws on skills learned, students will submit a written project proposal - with organization, timeline, learning objectives, and specific deliverables identified – for faculty approval. This course is a pre-requisite for the capstone course.
Typically Offered:
  • Fall, Spring, and Summer Terms
CYB 790  Cybersecurity Capstone  3.00  
Students present project identified in Capstone Preparation and submit a written report plus oral presentation to both faculty and host organization. Students will be assessed on clarity and content of written report and presentation.
Typically Offered:
  • Fall, Spring, and Summer Terms